By January 27, 2011Washington


Dear CWA of Washington Member,

What do you think of when you think of “seasoning”? Christmas? Barbeque? Or Christians? We are told that we must be the salt and light of the world:

You are the salt of the earth; but if the salt loses its flavor, how shall it be seasoned? It is then good for nothing but to be thrown out and trampled underfoot by men.

(1)
Starting from the PBE geometry in the Materials Project, the powder X-ray diffraction pattern of Ti4P6PbO24 was computed for a wavelength of 1.5418 Å.
Intensities are scaled so that the largest is 100.

Main lines, sorted by position (10° ≤ 2θ ≤ 80°):
2theta, Rel. int.
11.6, 41
12.7, 90
21.0, 71
22.9, 25
24.1, 100
31.6, 91
32.6, 26
33.3, 21
36.9, 27
49.3, 28

Crystal structure
abc: 9.0738 9.0738 9.0738
angles: 55.47 55.47 55.47
Atoms (fractional coordinates):
Ti (0.1455, 0.1455, 0.1455)
Ti (0.3499, 0.3499, 0.3499)
Ti (0.6501, 0.6501, 0.6501)
Ti (0.8545, 0.8545, 0.8545)
P (0.0362, 0.7495, 0.4698)
P (0.2505, 0.5302, 0.9638)
P (0.4698, 0.0362, 0.7495)
P (0.5302, 0.9638, 0.2505)
P (0.7495, 0.4698, 0.0362)
P (0.9638, 0.2505, 0.5302)
Pb (0.5000, 0.5000, 0.5000)
O (0.0178, 0.7295, 0.6592)
O (0.0349, 0.9497, 0.3154)
O (0.0503, 0.6846, 0.9651)
O (0.1280, 0.2850, 0.5027)
O (0.2293, 0.5935, 0.4017)
O (0.2705, 0.3408, 0.9822)
O (0.2850, 0.5027, 0.1280)
O (0.3154, 0.0349, 0.9497)
O (0.3408, 0.9822, 0.2705)
O (0.4017, 0.2293, 0.5935)
O (0.4065, 0.5983, 0.7707)
O (0.4973, 0.8720, 0.7150)
O (0.5027, 0.1280, 0.2850)
O (0.5935, 0.4017, 0.2293)
O (0.5983, 0.7707, 0.4065)
O (0.6592, 0.0178, 0.7295)
O (0.6846, 0.9651, 0.0503)
O (0.7150, 0.4973, 0.8720)
O (0.7295, 0.6592, 0.0178)
O (0.7707, 0.4065, 0.5983)
O (0.8720, 0.7150, 0.4973)
O (0.9497, 0.3154, 0.0349)
O (0.9651, 0.0503, 0.6846)
O (0.9822, 0.2705, 0.3408)

***

(2)
Starting from the PBE geometry in the Materials Project, the powder X-ray diffraction pattern of Li5Mg was computed for a wavelength of 1.5418 Å.
Intensities are scaled so that the largest is 100.

Main lines, sorted by position (10° ≤ 2θ ≤ 80°):
2theta, Rel. int.
11.3, 100
17.8, 36
21.1, 47
29.0, 21
33.4, 32
34.4, 26
36.1, 36
38.1, 97
38.9, 45
50.0, 24

Crystal structure
abc: 4.9781 3.1234 15.7158
angles: 90.00 90.00 90.00
Atoms (fractional coordinates):
Li (0.0000, 0.0000, 0.0000)
Li (0.0000, 0.0000, 0.3334)
Li (0.0000, 0.0000, 0.6661)
Li (0.0000, 0.5000, 0.1661)
Li (0.0000, 0.5000, 0.5000)
Li (0.0000, 0.5000, 0.8334)
Li (0.5000, 0.0000, 0.1120)
Li (0.5000, 0.0000, 0.7779)
Li (0.5000, 0.5000, 0.2779)
Li (0.5000, 0.5000, 0.6120)
Mg (0.5000, 0.0000, 0.4458)
Mg (0.5000, 0.5000, 0.9458)

***

(3)
Starting from the PBE geometry in the Materials Project, the powder X-ray diffraction pattern of RbNb4Br11 was computed for a wavelength of 1.5418 Å.
Intensities are scaled so that the largest is 100.

Main lines, sorted by position (10° ≤ 2θ ≤ 80°):
2theta, Rel. int.
12.0, 100
31.2, 84
31.4, 24
32.0, 50
34.2, 85
35.8, 23
37.8, 24
44.1, 55
49.1, 24
55.7, 23

Crystal structure
abc: 17.1109 7.4229 7.3936
angles: 90.00 90.00 90.00
Atoms (fractional coordinates):
Rb (0.2500, 0.0000, 0.0029)
Rb (0.7500, 0.0000, 0.9971)
Nb (0.0000, 0.2920, 0.5000)
Nb (0.0000, 0.7080, 0.5000)
Nb (0.1394, 0.5000, 0.3839)
Nb (0.3606, 0.5000, 0.3839)
Nb (0.5000, 0.2920, 0.5000)
Nb (0.5000, 0.7080, 0.5000)
Nb (0.6394, 0.5000, 0.6161)
Nb (0.8606, 0.5000, 0.6161)

You are the light of the world. A city that is set on a hill cannot be hidden. Nor do they light a lamp and put it under a basket, but on a lampstand, and it gives light to all who are in the house. Let your light so shine before men, that they may see your good works and glorify your Father in heaven. Matthew 5:13-16

Do you feel like salt or seasoning or do you feel trampled underfoot by the politically-correct culture? Does your light shine or do you hide it under a basket, staying comfortably safe and out of sight so that neither your good works nor the Father’s glory is seen in you?

Concerned Women for America exists to promote and protect Biblical values among all citizens-first through prayer, then education, and finally by influencing our society-thereby reversing the decline in moral values in our nation. WE NEED YOU TO BE SALT AND LIGHT! Washington State has been listed by NARAL as the second most abortion-friendly state in the nation; what a shameful recognition! What is your church doing to protect women and their babies? What are you doing? Listed below are two bills currently in the Washington State Legislature that need your attention and the attention of your like-minded friends and family. Please share this action alert with other concerned citizens who need to be educated on the attack on OUR Biblical values.


On Tuesday, January 18, over 5,000 citizens gathered in Olympia with March for Life of Washington to proclaim that we will not stop our mission until we eliminate the culture of death that permeates our state. Several legislators encouraged the crowd to continue to stand in support of life. Then on Monday, January 24, over five hundred pro-life citizens traveled to Olympia in protest of HB 1366 which would unnecessarily hamper and intimidate pregnancy resource centers (crisis pregnancy centers) throughout our state. This bill has a companion bill in the Senate, so we will likely have to repeat our actions soon to protest SB 5274. You may check the legislature’s website for hearing date: http://www.leg.wa.gov/pages/home.aspx. Please read details of bills below, then pray and take appropriate action.

HB 1366 (Companion Bill in the Senate is SB 5274) An act relating to limited service pregnancy centers

Despite the outpouring of opposition to HB 1366 at Monday’s hearing and through e-mails and phone calls, author Rep. Eileen Cody (Chairman of the House of Representatives Health Care & Wellness Committee) plans to vote the bill out of committee as early as this Friday, January 28. PLEASE call your representative directly. You may find telephone numbers on the Washington State Legislator’s webpage: http://www.leg.wa.gov/pages/home.aspx OR call the hotline at 1-800-562-6000.

_What comes next are records of crystals, not part of the article_
Calculated PXRD pattern
Compound: SmTaTc
Radiation: Cu Kα (weighted mean of Kα1 and Kα2)
Structure: a cell relaxed with GGA-PBE

Lattice parameters (Å, degrees): 6.4571 6.4571 6.4571 90.00 90.00 90.00
Positions (direct):
Sm (0.0000, 0.0000, 0.0000)
Sm (0.0000, 0.5000, 0.5000)
Sm (0.5000, 0.0000, 0.5000)
Sm (0.5000, 0.5000, 0.0000)
Ta (0.2500, 0.2500, 0.7500)
Ta (0.2500, 0.7500, 0.2500)
Ta (0.7500, 0.2500, 0.2500)
Ta (0.7500, 0.7500, 0.7500)
Tc (0.2500, 0.2500, 0.2500)
Tc (0.2500, 0.7500, 0.7500)
Tc (0.7500, 0.2500, 0.7500)
Tc (0.7500, 0.7500, 0.2500)

Main lines, in order of rising 2θ (2θ from 10° to 80°):
| d_spacing | 2θ (°) | Rel. int. |
| --- | --- | --- |
| 3.728 | 23.9 | 38 |
| 3.229 | 27.6 | 12 |
| 2.283 | 39.5 | 100 |
| 1.947 | 46.7 | 19 |
| 1.864 | 48.9 | 3 |
| 1.614 | 57.1 | 17 |
| 1.481 | 62.7 | 8 |
| 1.444 | 64.5 | 4 |
| 1.318 | 71.6 | 35 |
| 1.243 | 76.7 | 6 |

Calculated PXRD pattern
Compound: Ni5As2
Radiation: Cu Kα (weighted mean of Kα1 and Kα2)
Structure: a cell relaxed with GGA-PBE

Lattice parameters (Å, degrees): 6.8075 6.8075 12.5115 90.00 90.00 120.00
Positions (direct):
Ni (0.0000, 0.0000, 0.0179)
Ni (0.0000, 0.0000, 0.5179)
Ni (0.0000, 0.2519, 0.6894)
Ni (0.0000, 0.3100, 0.8967)
Ni (0.0000, 0.3749, 0.2878)
Ni (0.0000, 0.3747, 0.5000)
Ni (0.0000, 0.6253, 0.0000)
Ni (0.0000, 0.6251, 0.7878)
Ni (0.0000, 0.6900, 0.3967)
Ni (0.0000, 0.7481, 0.1894)
Ni (0.2519, 0.0000, 0.6894)
Ni (0.2519, 0.2519, 0.1894)
Ni (0.3100, 0.0000, 0.8967)
Ni (0.3100, 0.3100, 0.3967)
Ni (0.3333, 0.6667, 0.1629)
Ni (0.3333, 0.6667, 0.6629)
Ni (0.3749, 0.0000, 0.2878)
Ni (0.3747, 0.0000, 0.5000)
Ni (0.3747, 0.3747, 0.0000)
Ni (0.3749, 0.3749, 0.7878)
Ni (0.6253, 0.0000, 0.0000)
Ni (0.6251, 0.0000, 0.7878)
Ni (0.6251, 0.6251, 0.2878)
Ni (0.6253, 0.6253, 0.5000)
Ni (0.6667, 0.3333, 0.1629)
Ni (0.6667, 0.3333, 0.6629)
Ni (0.6900, 0.0000, 0.3967)
Ni (0.6900, 0.6900, 0.8967)
Ni (0.7481, 0.0000, 0.1894)
Ni (0.7481, 0.7481, 0.6894)
As (0.0000, 0.0000, 0.3221)
As (0.0000, 0.0000, 0.8221)
As (0.0000, 0.3307, 0.0910)
As (0.0000, 0.6693, 0.5910)
As (0.3307, 0.0000, 0.0910)
As (0.3307, 0.3307, 0.5910)
As (0.3333, 0.6667, 0.3644)
As (0.3333, 0.6667, 0.8644)
As (0.6667, 0.3333, 0.3644)
As (0.6667, 0.3333, 0.8644)
As (0.6693, 0.0000, 0.5910)
As (0.6693, 0.6693, 0.0910)

Main lines, in order of rising 2θ (2θ from 10° to 80°):
| d_spacing | 2θ (°) | Rel. int. |
| --- | --- | --- |
| 2.990 | 29.9 | 9 |
| 2.194 | 41.1 | 17 |
| 2.145 | 42.1 | 25 |
| 2.016 | 45.0 | 88 |
| 1.965 | 46.2 | 100 |
| 1.815 | 50.3 | 13 |
| 1.778 | 51.4 | 14 |
| 1.664 | 55.2 | 7 |
| 1.407 | 66.4 | 15 |
| 1.241 | 76.8 | 10 |

Calculated PXRD pattern
Compound: TbPr2Ni2B2N3
Radiation: Cu Kα (weighted mean of Kα1 and Kα2)
Structure: a cell relaxed with GGA-PBE

Lattice parameters (Å, degrees): 10.4033 10.4033 10.4033 160.01 160.01 28.41
Positions (direct):
Tb (0.0000, 0.0000, 0.0000)
Pr (0.3750, 0.3750, 0.0000)
Pr (0.6250, 0.6250, 0.0000)
Ni (0.2500, 0.7500, 0.5000)
Ni (0.7500, 0.2500, 0.5000)

CWA of Washington OPPOSES HB 1366 and SB 5274 because so-called “limited service pregnancy centers” serve a real need in communities, provide an alternative to abortion-oriented centers such as Planned Parenthood, and are voluntarily supported and staffed with no government funds. Our state has a very serious budget problem, so this is not a good time to eliminate community-supported services. The bill unnecessarily exposes these free clinics to frivolous lawsuits that can be brought by individuals, counties, or municipalities even though the accuser has not been a client. This is clearly an attempt to intimidate those clinics and will inevitably end up with abortion supporters bringing forth lawsuits that could bankrupt any clinic. This bill is not brought to legislators by pregnant women, physician groups or the general public, but instead by abortion providers and agencies that have been losing revenue due to the popularity and success of the pro-life clinics. According to Human Life of Washington, these pregnancy centers provide at least sixteen million dollars worth of free services to communities in Washington and serve several thousand women per year.

-- Next to the piece, the page also holds crystal structures --
~~~
No. 1
Computed X-ray powder pattern
Compound: Rb3Ti
Radiation: Cu Kα
Structure: a structure optimized by DFT (GGA-PBE)
Neutral-atom scattering factors, no anomalous dispersion.

Structure:
Unit cell a=8.8180 b=8.8180 c=7.1399 alpha=90.00 beta=90.00 gamma=120.00
Space group P6_3/mmc (No. 194)
Inequivalent atoms, fractional coordinates:
Rb: 0.1761 0.3522 0.2500 (multiplicity 6)
Ti: 0.3333 0.6667 0.7500 (multiplicity 2)

Principal peaks in the range 2θ = 5–70°, in order of falling intensity:
index	2θ/deg	I (rel.)
2 0 1	26.47	100
0 0 2	24.94	26
2 0 0	23.30	23
2 2 2	48.54	23
2 0 3	44.88	23
2 2 0	40.94	19
2 0 2	34.39	17
4 0 1	49.42	16
4 2 1	66.05	12
2 2 4	67.52	8

No. 2
Computed X-ray powder pattern
Compound: SmCo9Si2
Radiation: Cu Kα
Structure: a structure optimized by DFT (GGA-PBE)
Neutral-atom scattering factors, no anomalous dispersion.

Structure:
Unit cell a=9.6975 b=9.6975 c=6.2997 alpha=90.00 beta=90.00 gamma=90.00
Space group I4_1/amd (No. 141, origin choice 2)
Inequivalent atoms, fractional coordinates:
Sm: 0.0000 0.2500 0.3750 (multiplicity 4)
Co: 0.0000 0.2500 0.8750 (multiplicity 4)
Co: 0.1239 0.0440 0.6850 (multiplicity 32)
Si: 0.0000 0.0000 0.0000 (multiplicity 8)

Principal peaks in the range 2θ = 5–70°, in order of falling intensity:
index	2θ/deg	I (rel.)
3 1 2	41.08	100
4 2 0	41.65	74
5 0 1	49.15	30
3 2 1	36.32	28
1 0 3	44.13	27
5 3 2	63.19	25
1 1 2	31.25	18
4 2 2	51.14	17
4 0 2	47.32	17
3 0 1	31.10	16

No. 3
Computed X-ray powder pattern
Compound: MnCr3Te4
Radiation: Cu Kα
Structure: a structure optimized by DFT (GGA-PBE)
Neutral-atom scattering factors, no anomalous dispersion.

Structure:
Unit cell a=14.1321 b=4.1442 c=7.1611 alpha=90.00 beta=120.36 gamma=90.00
Space group C2/m (No. 12)
Inequivalent atoms, fractional coordinates:
Mn: 0.0000 0.0000 0.0000 (multiplicity 2)
Cr: 0.0000 0.5000 0.5000 (multiplicity 2)
Cr: 0.2457 0.0000 0.2477 (multiplicity 4)
Te: 0.1255 0.5000 0.2939 (multiplicity 4)
Te: 0.1273 0.0000 0.7914 (multiplicity 4)

Principal peaks in the range 2θ = 5–70°, in order of falling intensity:
index	2θ/deg	I (rel.)
4 0 -2	28.89	100
5 1 -1	38.78	53
0 2 0	43.74	44
8 0 -2	51.70	19
4 2 -2	53.25	15
2 2 2	59.84	11
4 0 0	29.30	7
8 2 -2	69.96	7
4 2 0	53.49	5
8 0 0	60.76	5

No. 4
Computed X-ray powder pattern
Compound: GeP3
Radiation: Cu Kα
Structure: a structure optimized by DFT (GGA-PBE)
Neutral-atom scattering factors, no anomalous dispersion.

Structure:
Unit cell a=7.1133 b=7.1133 c=10.0736 alpha=90.00 beta=90.00 gamma=120.00
Space group R-3m (No. 166, hexagonal axes)
Inequivalent atoms, fractional coordinates:
Ge: 0.0000 0.0000 0.2364 (multiplicity 6)
P: 0.0172 0.5086 0.2204 (multiplicity 18)

Principal peaks in the range 2θ = 5–70°, in order of falling intensity:
index	2θ/deg	I (rel.)
2 0 2	34.12	100
2 2 0	51.38	31
0 2 4	46.58	30
0 1 2	22.81	19
1 1 0	25.04	17
0 4 2	63.13	15
0 0 3	26.55	12
1 2 2	42.79	11
2 0 5	54.42	10
1 0 4	38.62	8

~~~~~
~~~
-- End of the crystal structures --

Support women’s real right to choose: CONTACT YOUR STATE REPRESENTATIVE TODAY TO OPPOSE HB 1366! Hotline: 1-800-562-6000.

Some years ago, Supreme Court Justice Scalia told a Christian audience to “have the courage to have your wisdom regarded as stupidity and the courage to suffer the contempt of the sophisticated world.”

Please pray and then stand up and be the seasoning our state culture needs so desperately! God knew each of us in the womb before we were even formed. Our Declaration of Independence recognized that life was a primary right given to us by the Creator. Let’s defend it!

In His Service,

Maureen Richardson


P. O. Box 143

Woodinville, WA 98072